“Affect and the Making of the Schoolgirl” companion videos

#1 Annabelle

“I think my last school got involved in it? It was an all-girls school so I think they cared about that quite a bit but it didn’t really interest me so I didn’t really notice that much…It’s not just something I’m interested in?”

#2 Jasmine

“I feel like here, because it is a co-educational school, they don’t celebrate either of the genders much, obviously because it is co and they don’t want to differentiate which I think is good…

Oh, we do, we do but I haven’t applied for any of it. We have a lot of things like women in physics because it is, while it is becoming really common for girls to be into physics, there was a time when girls were considered to, physics and engineering was not for girls or whatever; kind of like how I'm doing materials engineering… and apart from me there’s only one other girl in the class. I mean we both don’t like the subject now, but we gave it a go and we were the only two girls in a class of twenty-five boys, so yeah. I mean imagine two hundred kids and only two girls wanted to do that subject and I kind of just, it was like I’ll give it a go, but I don’t like it.”

Records of crystals, kept here for reference >
........
{
  "formula": "ThZnBi2",
  "functional": "PBE",
  "state": "optimized geometry",
  "lattice_angstrom": [[-3.137, 1.547, 0.598], [-2.429, 0.143, -2.583], [-5.931, -8.974, 2.643]],
  "species": ["Bi", "Bi", "Th", "Zn"],
  "frac_coords": [[0.101, 0.101, 0.696], [0.899, 0.899, 0.304], [0.000, 0.000, 0.000], [0.500, 0.500, 0.500]],
  "ef_ev_per_atom": 0.21,
  "energy_ev_per_cell": -15.6
}

***

{
  "formula": "LiLa2YN",
  "functional": "PBE",
  "state": "optimized geometry",
  "lattice_angstrom": [[-3.994, 1.327, -3.133], [-0.063, -4.859, -1.979], [-3.076, -1.328, 3.359]],
  "species": ["La", "La", "Li", "Y", "N"],
  "frac_coords": [[0.500, 0.000, 0.000], [0.000, 0.500, 0.000], [0.500, 0.500, 0.500], [0.000, 0.000, 0.500], [0.000, 0.000, 0.000]],
  "energy_ev_per_cell": -29.1,
  "formation_energy_uncorrected_ev_per_atom": -0.507
}

***

{
  "formula": "CdIr2Os",
  "functional": "PBE",
  "state": "optimized geometry",
  "lattice_angstrom": [[-2.560, 0.301, -1.110], [1.224, -2.920, -3.616], [-1.510, -3.703, 2.479]],
  "species": ["Ir", "Ir", "Cd", "Os"],
  "frac_coords": [[0.000, 0.000, 0.000], [0.500, 0.500, 0.000], [0.000, 0.500, 0.500], [0.500, 0.000, 0.500]],
  "ef_ev_per_atom": 0.62,
  "energy_ev_per_cell": -27.4
}

***

{
  "formula": "Pm8AlZn2",
  "functional": "PBE",
  "state": "optimized geometry",
  "lattice_angstrom": [[4.833, 0.000, -1.471], [-1.261, 7.294, -4.143], [0.075, 0.148, 8.922]],
  "species": ["Pm", "Pm", "Pm", "Pm", "Pm", "Pm", "Pm", "Pm", "Al", "Zn", "Zn"],
  "frac_coords": [[0.338, 0.114, 0.676], [0.863, 0.863, 0.726], [0.137, 0.137, 0.274], [0.000, 0.315, 0.000], [0.662, 0.886, 0.324], [0.338, 0.562, 0.676], [0.000, 0.685, 0.000], [0.662, 0.438, 0.324], [0.500, 0.000, 0.000], [0.193, 0.693, 0.386], [0.807, 0.307, 0.614]],
  "ef_ev_per_atom": -0.10,
  "energy_ev_per_cell": -45.4
}

***

{
  "formula": "Be2VTeMo",
  "functional": "PBE",
  "state": "optimized geometry",
  "lattice_angstrom": [[-2.608, -1.514, 3.366], [-3.288, -0.920, -2.961], [1.655, -4.101, -0.563]],
  "species": ["Be", "Be", "Mo", "Te", "V"],
  "frac_coords": [[0.500, 0.000, 0.000], [0.000, 0.500, 0.000], [0.000, 0.000, 0.000], [0.500, 0.500, 0.500], [0.000, 0.000, 0.500]],
  "energy_ev_per_cell": -24.6,
  "formation_energy_uncorrected_ev_per_atom": 1.188
}

***

{
  "formula": "KCeTiS4",
  "functional": "PBE",
  "state": "optimized geometry",
  "lattice_angstrom": [[7.451, 0.000, 0.000], [-3.725, 6.982, -0.976], [0.000, -4.636, 7.624]],
  "species": ["Ti", "Ti", "S", "S", "S", "S", "S", "S", "S", "S", "K", "K", "Ce", "Ce"],
  "frac_coords": [[0.000, 0.500, 0.500], [0.500, 0.500, 0.500], [0.295, 0.045, 0.272], [0.750, 0.045, 0.272], [0.250, 0.500, 0.315], [0.750, 0.500, 0.685], [0.250, 0.500, 0.685], [0.250, 0.955, 0.728], [0.750, 0.500, 0.315], [0.705, 0.955, 0.728], [0.171, 0.342, 0.921], [0.829, 0.658, 0.079], [0.500, 0.000, 0.000], [0.500, 0.000, 0.500]],
  "energy_ev_per_cell": -83.7,
  "formation_energy_uncorrected_ev_per_atom": -1.490
}

***

{
........
Back to the article >

#3 Annie

“This year, the scariest moment for me was I was with my friend and we saw there was a free place on the basketball court so we went over there and played, just the two of us, and then we were there and no‑one was there and then after a few minutes or so, all these year 12 boys came over and they asked for our ball and I said, no, and then they started joining in and then they went off and just stood and watched us and I was really uncomfortable and I felt really vulnerable there, but we just stayed there and then waited until end of lunch, so that was really the most scariest moment this year for me.”

#4 Angel

“When I – learnt it was like specialised around science that kind of caught my attention because in primary, like in my old school science is my favourite subject, it was like the subject I really excelled in. And I just love biology and chemistry so I was just like I really want to come to school for the science and I – when I was younger I already kind of decided what I wanted to do which has change, well I’ve got different options now. But it was veterinary science so I was just oh if I get into this school it could help me more and help me understand more about the concepts behind science and stuff. So that really, that’s kind of what made me want to try harder to get into the school, yeah…

Biology, since primary – my year 6, my year 5/6 teacher she introduced biology to me and I fell in love with it. I was like the kid in the class that knew everything we were learning about biology and I still love it, I love how life came about and about what’s under the microscope and what we can do with the knowledge we have of our biology and it’s just really fascinating about what’s inside us and what we as humans can do with our body. Yeah it’s just really fascinating for me… 

In chemistry I’m in the 90’s which I’m really happy about so that would be my – one of the biggest successes this year in chemistry I’ve been doing really well…in chemistry I see myself as a high achiever, in physics not so much, maths I’m kind of in the middle, average, same with English … Issue studies I see myself as a high achiever. It depends on the subject for me really but overall I think I’m like an average achiever yeah… 

 Okay I guess but kind of like average, just kind of like finding my ground so it’s okay at the moment I guess academically for me. But I don’t know how to describe it though…

[1]
This record from Alexandria describes crystalline Zr2AlPb at its relaxed geometry. The functional is GGA-PBEsol.

```
data_Zr2AlPb
_symmetry_space_group_name_H-M 'P 4/m m m'
_symmetry_Int_Tables_number 123
_symmetry_space_group_name_Hall '-P 4 2'
_cell_length_a 3.123
_cell_length_b 3.123
_cell_length_c 8.546
_cell_angle_alpha 90.00
_cell_angle_beta 90.00
_cell_angle_gamma 90.00
loop_
_atom_site_label
_atom_site_fract_x
_atom_site_fract_y
_atom_site_fract_z
Zr1 0.000 0.000 0.225
Al1 0.500 0.500 0.000
Pb1 0.500 0.500 0.500
```

E_tot: -6.88 eV per atom
Formation enthalpy at 0 K: -1.3 eV per formula unit

[2]
This record from Alexandria describes crystalline Na2ReC at its relaxed geometry. The functional is GGA-PBEsol.

```
data_Na2ReC
_symmetry_space_group_name_H-M 'I -4 2 d'
_symmetry_Int_Tables_number 122
_symmetry_space_group_name_Hall 'I -4 2bw'
_cell_length_a 10.072
_cell_length_b 10.072
_cell_length_c 3.917
_cell_angle_alpha 90.00
_cell_angle_beta 90.00
_cell_angle_gamma 90.00
loop_
_atom_site_label
_atom_site_fract_x
_atom_site_fract_y
_atom_site_fract_z
Na1 0.065 0.750 0.125
Re1 0.000 0.000 0.500
C1 0.000 0.000 0.000
```

E_tot: -5.26 eV per atom
Formation enthalpy at 0 K: 4.7 eV per formula unit

[3]
This record from Alexandria describes crystalline Cd2TcSe at its relaxed geometry. The functional is GGA-PBEsol.

```
data_Cd2TcSe
_symmetry_space_group_name_H-M 'C m m 2'
_symmetry_Int_Tables_number 35
_symmetry_space_group_name_Hall 'C 2 -2'
_cell_length_a 3.002
_cell_length_b 4.959
_cell_length_c 10.476
_cell_angle_alpha 90.00
_cell_angle_beta 90.00
_cell_angle_gamma 90.00
loop_
_atom_site_label
_atom_site_fract_x
_atom_site_fract_y
_atom_site_fract_z
Cd1 0.000 0.000 0.000
Cd2 0.000 0.500 0.267
Tc1 0.000 0.500 0.770
Se1 0.000 0.000 0.589
```

E_tot: -4.14 eV per atom
ΔE_f (raw): 0.951 eV per formula unit

[4]
This record from Alexandria describes crystalline Cd3Ru at its relaxed geometry. The functional is GGA-PBEsol.

```
data_Cd3Ru
_symmetry_space_group_name_H-M 'F m -3 m'
_symmetry_Int_Tables_number 225
_symmetry_space_group_name_Hall '-F 4 2 3'
_cell_length_a 6.545
_cell_length_b 6.545
_cell_length_c 6.545
_cell_angle_alpha 90.00
_cell_angle_beta 90.00
_cell_angle_gamma 90.00
loop_
_atom_site_label
_atom_site_fract_x
_atom_site_fract_y
_atom_site_fract_z
Cd1 0.000 0.000 0.000
Cd2 0.250 0.250 0.250
Ru1 0.000 0.000 0.500
```

E_tot: -3.16 eV per atom
Formation enthalpy at 0 K: 1.1 eV per formula unit

[5]
This record from Alexandria describes crystalline Zn2PbBr at its relaxed geometry. The functional is GGA-PBEsol.

```
data_Zn2PbBr
_symmetry_space_group_name_H-M 'F m -3 m'
_symmetry_Int_Tables_number 225
_symmetry_space_group_name_Hall '-F 4 2 3'
_cell_length_a 7.144
_cell_length_b 7.144
_cell_length_c 7.144
_cell_angle_alpha 90.00
_cell_angle_beta 90.00
_cell_angle_gamma 90.00
loop_
_atom_site_label
_atom_site_fract_x
_atom_site_fract_y
_atom_site_fract_z
Zn1 0.250 0.250 0.250
Pb1 0.000 0.000 0.000
Br1 0.000 0.000 0.500
```

At the start it was weird for me to get average scores I guess but – so I used to be really sad and stuff about that but now I’m just kind of, I can’t cry over it because it’s too late, I have to move on, the least I could do is at least take on the feedback and do it better next time. So now I’m not as sad about getting a bad score because I’m just – if I’d made a mistake last time preparing for this exam or assessment I just need to fix that mistake and then I can get a better score and try harder…

 In my old school it was relatively easy, I found it easy to get the marks but here the expectations are a lot more higher and the marking is a lot more tougher so I had to adjust myself to meet those standards… 

I kinder of felt sad because I mean that – that I wasn’t maybe good enough for the school or I wasn’t good enough to achieve those grades and I kinder of, like I was unsure on how to achieve it; I don’t know how to improve myself and what I can do to get the grades, cause I was just like in my old school I gave 100% and that got me my grades but here I give my 100%, I only get, I don’t get those grades. So I was kind of unsure on how to put in extra work to achieve the grades…


The most failures I’ve had would probably be in maths, I struggled with maths in the first semester, I think it was because – I don’t know the different way they were teaching cause it was – in my old school we only had 30 kids, one teacher so you only had one, like the teacher would show you one way of teaching or their way of teaching. Here it’s like you got two different teachers so I think that kind of threw me off because I was just – oh I don’t know which method to use or how to do this so and also they introduced Mathematica so it’s like a maths software for us to use and that was different as well cause we had to learn how to use a whole new program and that was also a bit difficult cause we have to use that for our exams as well. So I struggled a little bit also with the workload but I’m good now, yeah but maths was probably my biggest failure in Semester 1.

Well I really hate maths at certain points because I just feel like maths is just really stupid…

I think the thing that made me anxious was tests because especially my first semester I didn’t get exceptional grades so I think tests just made me really anxious and I’d just be stressing over it like the week before I’d just be like really stressed and worried about it. And I’d be – I haven’t done enough, I haven’t done enough study for it and when I feel like I’ve done enough study and then when I get my tests back I’ll be like okay I didn’t do enough study. So they made – when a test came around I would feel really anxious about that but other than that nothing else…

At the start I wasn’t very confident but now I’m just like, I was just, I just needed to believe in myself and I could do it but yeah…

I think it’s – at the start I was scared about how good I was but – and adjusting to it, so it was like a lot of things going on at once but now it’s – I’ve settled down, I’m not as anxious I guess…

Pretty happy but a little stressed, yeah in especially at this time of the year, a little stressed…

I think it’s mainly because the – school’s different they have higher expectations and then I’ve got family and friends that have expectations for me but I think it’s like I have a high bar of – like standards for myself that I put for myself so it’s just sometimes I’m just like I really don’t want to reach those standards but I want to – I want to, I push myself to it and it gets a little stressful because I feel like I’m taking too much work at one time. Yeah like especially near the exam time where I just have all this stuff and I’m just trying to juggle school life and personal life I guess, yeah… 

My mum wants me to go into the research side of veterinary science; my dad kind of supports both ideas but he’s kind of yeah I want you to be an engineer like me. And when I was talking to my family, my cousins, they’re all just – oh we thought we’d expect you to be an engineer because your dad’s an engineer and you seem to like engineering. I’m like – oh I never realised that’s what other people thought of me…”